How Will Your Employees Get You Hacked

Breaches are becoming increasingly common as cybercriminals continue to advance their skills and tactics to trick their victims into falling for their scams. While cybercriminals are remaining diligent in their efforts to carry out their attacks, small business owners continue to underspend on cybersecurity. An article on Entrepreneur looks at 5 things your employees are doing that put your business at risk.
The 2016 State of SMB Cybersecurity Report revealed that half (14 million) of the 28 million small businesses in the U.S. had been hacked by cybercriminals, but why? According to a CNBC survey of 2,000 small-business owners, small businesses are not spending enough on cybersecurity.
With human-error being the most common reason for a cyber intrusion, employee security training is crucial to ensuring employees know how to spot a hacking attempt.
Since it is possible to reduce your odds of getting hacked through employee security training, it’s important to understand what employees are doing that will get you hacked. Below are the top 5 most common mistakes:
What are employees doing that will get you hacked?
Being lazy
Employees often feel that it’s not their job to worry about security, or that IT is responsible for “that kind of stuff”. Small businesses often lack IT resources, especially equipped to handle cybersecurity threats like ransomware. Employees should be aware that they are a target for cybercriminals and that it’s their job to help stop them from carrying out a successful attack.
Unprotected email
Email hacking is one of the fastest growing cybercrimes, with millions and possibly billions of stolen emails for sale on the dark web. Employees often have 2-step verification turned off in their email app, allowing hackers easy access to those email accounts if they have the stolen credentials. Once a hacker is in that email account they have free range to access any data that may be stored in the account, such a personally identifiable information (PII), credit card data and additional log-in credentials. 2-step verification is simple to enable in most popular email platforms. After 2-step verification is enabled, a code will be texted to the employees’ phone making it so that a cybercriminal would have no way to access that email account.
Clicking on fake emails
**Inserted here: records of crystals**
Entry 1:
PmGdHg2: calculated powder diffractogram (CuKα), based on a GGA-PBE-relaxed structure.
Kinematic intensities with the Lorentz-polarization factor, no thermal factor.

Largest 10 diffraction maxima, by angle, 10 to 90 degrees two-theta:
- d 3.793, 2θ = 23.45°, I 2, hkl 2 0 0
- d 2.682, 2θ = 33.40°, I 100, hkl 2 2 0
- d 2.190, 2θ = 41.22°, I 1, hkl 2 2 2
- d 1.897, 2θ = 47.96°, I 18, hkl 4 0 0
- d 1.697, 2θ = 54.05°, I 1, hkl 4 2 0
- d 1.549, 2θ = 59.71°, I 38, hkl 4 2 2
- d 1.341, 2θ = 70.17°, I 12, hkl 4 4 0
- d 1.264, 2θ = 75.13°, I 1, hkl 6 0 0
- d 1.200, 2θ = 79.98°, I 17, hkl 6 2 0
- d 1.095, 2θ = 89.49°, I 4, hkl 4 4 4

Atomic structure:
a = 7.5870 Å, b = 7.5870 Å, c = 7.5870 Å
α = 90.00°, β = 90.00°, γ = 90.00°
Space group Fm-3m (No. 225)
One atom of each set of equivalent atoms:
Pm1 0.0000 0.0000 0.0000 x4
Gd1 0.0000 0.0000 0.5000 x4
Hg1 0.2500 0.2500 0.2500 x8

Entry 2:
Gd3Ho: calculated powder diffractogram (CuKα), based on a GGA-PBE-relaxed structure.
Kinematic intensities with the Lorentz-polarization factor, no thermal factor.

Largest 10 diffraction maxima, by angle, 10 to 90 degrees two-theta:
- d 2.903, 2θ = 30.80°, I 100, hkl 1 1 2
- d 2.522, 2θ = 35.60°, I 17, hkl 0 0 4
- d 2.510, 2θ = 35.77°, I 34, hkl 2 0 0
- d 1.779, 2θ = 51.36°, I 24, hkl 2 0 4
- d 1.775, 2θ = 51.48°, I 12, hkl 2 2 0
- d 1.519, 2θ = 60.98°, I 14, hkl 1 1 6
- d 1.514, 2θ = 61.20°, I 28, hkl 3 1 2
- d 1.452, 2θ = 64.16°, I 12, hkl 2 2 4
- d 1.154, 2θ = 83.80°, I 12, hkl 3 1 6
- d 1.123, 2θ = 86.68°, I 11, hkl 4 2 0

Atomic structure:
a = 5.0209 Å, b = 5.0209 Å, c = 10.0871 Å
α = 90.00°, β = 90.00°, γ = 90.00°
Space group I4/mmm (No. 139)
One atom of each set of equivalent atoms:
Gd1 0.0000 0.0000 0.0000 x2
Gd2 0.0000 0.5000 0.2500 x4
Ho1 0.0000 0.0000 0.5000 x2

Entry 3:
GdHo3: calculated powder diffractogram (CuKα), based on a GGA-PBE-relaxed structure.
Kinematic intensities with the Lorentz-polarization factor, no thermal factor.

Largest 10 diffraction maxima, by angle, 10 to 90 degrees two-theta:
- d 2.905, 2θ = 30.78°, I 100, hkl 1 1 2
- d 2.539, 2θ = 35.36°, I 17, hkl 0 0 4
- d 2.504, 2θ = 35.86°, I 33, hkl 2 0 0
- d 1.783, 2θ = 51.24°, I 24, hkl 2 0 4
- d 1.771, 2θ = 51.62°, I 12, hkl 2 2 0
- d 1.527, 2θ = 60.64°, I 15, hkl 1 1 6
- d 1.512, 2θ = 61.31°, I 28, hkl 3 1 2
- d 1.452, 2θ = 64.12°, I 12, hkl 2 2 4
- d 1.156, 2θ = 83.62°, I 12, hkl 3 1 6
- d 1.150, 2θ = 84.21°, I 6, hkl 3 3 2

Atomic structure:
a = 5.0084 Å, b = 5.0084 Å, c = 10.1545 Å
α = 90.00°, β = 90.00°, γ = 90.00°
Space group I4/mmm (No. 139)
One atom of each set of equivalent atoms:
Gd1 0.0000 0.0000 0.0000 x2
Ho1 0.0000 0.0000 0.5000 x2
Ho2 0.0000 0.5000 0.2500 x4

Entry 4:
GdI3O11: calculated powder diffractogram (CuKα), based on a GGA-PBE-relaxed structure.
Kinematic intensities with the Lorentz-polarization factor, no thermal factor.

Largest 10 diffraction maxima, by angle, 10 to 90 degrees two-theta:
- d 6.971, 2θ = 12.70°, I 80, hkl 0 1 0
**The records of crystals stop here**
According to the cybersecurity company PhishMe, 91% of cyberattacks begin with a spear phishing email. In these phishing emails, hackers design the email to look authenticate so the employee thinks it is coming from the real source it’s claiming to be. These phishing emails may appear to come from credible company’s customer support departments, such as Microsoft or Google or could even appear to come from you (their boss). In many cases, once an employee falls for a phishing scam, their computers/mobile devices become infected with ransomware.
**What comes next are records of crystals, not part of the article**
********
No. 1
For ErTe2H, a DFT-relaxed cell (GGA-PBE, Alexandria) gives the computed powder X-ray diffraction pattern in this record (Cu Kα X-rays).
Intensities are scaled so that the largest is 100.

Structure:
```
data_ErTe2H
_chemical_formula_sum 'Er2 Te4 H2'
_symmetry_space_group_name_H-M 'P -1'
_symmetry_Int_Tables_number 2
_cell_length_a 4.457
_cell_length_b 7.866
_cell_length_c 7.868
_cell_angle_alpha 71.84
_cell_angle_beta 88.82
_cell_angle_gamma 89.68
loop_
_symmetry_equiv_pos_as_xyz
'x,y,z'
'-x,-y,-z'
loop_
_atom_site_label
_atom_site_type_symbol
_atom_site_fract_x
_atom_site_fract_y
_atom_site_fract_z
_atom_site_occupancy
Er1 Er 0.248 0.221 0.487 1
Te1 Te 0.242 0.847 0.741 1
Te2 Te 0.261 0.640 0.306 1
H1 H 0.260 0.727 0.077 1
```

The 6 most intense peaks (10 to 80 degrees two-theta), in order of rising 2θ:
11.84 deg, d = 7.474 Å, rel. 100
24.19 deg, d = 3.679 Å, rel. 28
24.56 deg, d = 3.624 Å, rel. 33
29.88 deg, d = 2.991 Å, rel. 40
30.34 deg, d = 2.946 Å, rel. 37
30.96 deg, d = 2.888 Å, rel. 36

No. 2
For Pm3DyEr7, a DFT-relaxed cell (GGA-PBE, Alexandria) gives the computed powder X-ray diffraction pattern in this record (Cu Kα X-rays).
Intensities are scaled so that the largest is 100.

Structure:
```
data_Pm3DyEr7
_chemical_formula_sum 'Pm6 Dy2 Er14'
_symmetry_space_group_name_H-M 'I m m m'
_symmetry_Int_Tables_number 71
_symmetry_space_group_name_Hall '-I 2 2'
_cell_length_a 5.802
_cell_length_b 11.110
_cell_length_c 11.157
_cell_angle_alpha 90.00
_cell_angle_beta 90.00
_cell_angle_gamma 90.00
loop_
_atom_site_label
_atom_site_type_symbol
_atom_site_fract_x
_atom_site_fract_y
_atom_site_fract_z
_atom_site_occupancy
Pm1 Pm 0.000 0.000 0.000 1
Pm2 Pm 0.000 0.500 0.288 1
Dy1 Dy 0.000 0.000 0.500 1
Er1 Er 0.000 0.207 0.196 1
Er2 Er 0.000 0.294 0.500 1
Er3 Er 0.000 0.500 0.000 1
```

The 6 most intense peaks (10 to 80 degrees two-theta), in order of rising 2θ:
25.30 deg, d = 3.520 Å, rel. 19
30.82 deg, d = 2.901 Å, rel. 40
32.09 deg, d = 2.789 Å, rel. 15
32.23 deg, d = 2.778 Å, rel. 17
32.85 deg, d = 2.726 Å, rel. 100
56.11 deg, d = 1.639 Å, rel. 22

No. 3
For Re4Cl8O9, a DFT-relaxed cell (GGA-PBE, Alexandria) gives the computed powder X-ray diffraction pattern in this record (Cu Kα X-rays).
Intensities are scaled so that the largest is 100.

Structure:
```
data_Re4Cl8O9
_chemical_formula_sum 'Re4 Cl8 O9'
_symmetry_space_group_name_H-M 'P -1'
_symmetry_Int_Tables_number 2
_cell_length_a 6.517
_cell_length_b 6.684
_cell_length_c 13.119
_cell_angle_alpha 76.22
_cell_angle_beta 85.85
_cell_angle_gamma 83.87
loop_
_symmetry_equiv_pos_as_xyz
'x,y,z'
'-x,-y,-z'
loop_
_atom_site_label
_atom_site_type_symbol
_atom_site_fract_x
_atom_site_fract_y
_atom_site_fract_z
_atom_site_occupancy
Re1 Re 0.133 0.182 0.341 1
Re2 Re 0.152 0.395 0.895 1
Cl1 Cl 0.128 0.775 0.124 1
Cl2 Cl 0.255 0.357 0.727 1
Cl3 Cl 0.270 0.378 0.429 1
Cl4 Cl 0.338 0.682 0.855 1
O1 O 0.000 0.500 0.000 1
O2 O 0.104 0.315 0.211 1
O3 O 0.104 0.884 0.602 1
O4 O 0.292 0.959 0.344 1
********
**The records of crystals stop here**
Lousy passwords
SplashData reported that the most common password in use today is “123456”. Not only is this a very weak password to begin with, but people are often reusing their easy to crack password across multiple sites and accounts, as well as sharing them with co-workers. Other common employee mistakes when it comes to passwords include physical protections, such as writing them on a sticky note and leaving that on their computer or under their keyboard. Employees may also be typing their password without paying attention to wandering eyes that may be watching them.
No backup
There’s a good possibility that at least one employee in your company isn’t backing up the data he or she is supposed to be, which is a major problem. Not only is there a risk of files being lost due to technical issues, there is also danger in losing those files to a cybercriminal. During a ransomware attack, a cybercriminal locks the user out of their account and denies them access to their files unless a ransom is paid. Even after the ransom is paid, there is no guarantee that the files will be returned to the user, making backup files crucial.
Inserted here: calculated crystals:
********
Structure and simulated XRD peak list of HgH6Br2N2 (the GGA-PBE geometry in Alexandria; a wavelength of 1.5418 Å).

Main lines, by angle (2θ from 10° to 90°):
- hkl 1 0 1, 2θ = 19.47°, intensity 37
- hkl 1 0 4, 2θ = 23.67°, intensity 100
- hkl 0 1 5, 2θ = 25.89°, intensity 45
- hkl 1 1 0, 2θ = 33.50°, intensity 46
- hkl 0 1 8, 2θ = 33.95°, intensity 24
- hkl 1 1 9, 2θ = 46.51°, intensity 29

```
data_HgH6Br2N2
_space_group_name_H-M_alt 'R -3 m'
_space_group_IT_number 166
_space_group_name_Hall '-R 3 2"'
_cell_length_a 5.3497
_cell_length_b 5.3497
_cell_length_c 25.7062
_cell_angle_alpha 90.00
_cell_angle_beta 90.00
_cell_angle_gamma 120.00
loop_
_atom_site_label
_atom_site_fract_x
_atom_site_fract_y
_atom_site_fract_z
_atom_site_occupancy
Hg1 0.0000 0.0000 0.0000 1
H1 0.1094 0.2187 0.4586 1
Br1 0.0000 0.0000 0.2299 1
N1 0.0000 0.0000 0.4720 1
```

---

Structure and simulated XRD peak list of HgH16Br6N4 (the GGA-PBE geometry in Alexandria; a wavelength of 1.5418 Å).

Main lines, by angle (2θ from 10° to 90°):
- hkl 1 1 0, 2θ = 13.48°, intensity 100
- hkl 0 2 0, 2θ = 19.15°, intensity 20
- hkl 1 2 2, 2θ = 28.81°, intensity 30
- hkl 1 0 3, 2θ = 30.30°, intensity 29
- hkl 3 1 0, 2θ = 30.50°, intensity 66
- hkl 3 1 4, 2θ = 49.98°, intensity 25

```
data_HgH16Br6N4
_space_group_name_H-M_alt 'P n n m'
_space_group_IT_number 58
_cell_length_a 9.2630
_cell_length_b 9.2719
_cell_length_c 9.3354
_cell_angle_alpha 90.00
_cell_angle_beta 90.00
_cell_angle_gamma 90.00
loop_
_space_group_symop_operation_xyz
'x,y,z'
'-x,-y,-z'
'-x,-y,z'
'x,y,-z'
'x+1/2,-y+1/2,-z+1/2'
'-x+1/2,y+1/2,z+1/2'
'-x+1/2,y+1/2,-z+1/2'
'x+1/2,-y+1/2,z+1/2'
loop_
_atom_site_label
_atom_site_fract_x
_atom_site_fract_y
_atom_site_fract_z
_atom_site_occupancy
Hg1 0.0000 0.0000 0.0000 1
H1 0.0815 0.3511 0.1702 1
H2 0.1491 0.4194 0.3296 1
H3 0.1509 0.2393 0.2936 1
H4 0.2380 0.8526 0.2943 1
Br1 0.0000 0.0000 0.2924 1
Br2 0.0994 0.6897 0.0000 1
Br3 0.1898 0.5998 0.5000 1
N1 0.1603 0.3411 0.2497 1
```

---

Structure and simulated XRD peak list of Hg2HBrO2 (the GGA-PBE geometry in Alexandria; a wavelength of 1.5418 Å).

Main lines, by angle (2θ from 10° to 90°):
- hkl 2 0 0, 2θ = 20.16°, intensity 60
- hkl 0 0 2, 2θ = 22.17°, intensity 69
- hkl 0 2 1, 2θ = 27.32°, intensity 39
- hkl 2 0 2, 2θ = 30.14°, intensity 100
- hkl 2 2 0, 2θ = 32.26°, intensity 40
- hkl 2 2 1, 2θ = 34.19°, intensity 68

```
data_Hg2HBrO2
_space_group_name_H-M_alt 'C m c 21'
_space_group_IT_number 36
_cell_length_a 8.8086
_cell_length_b 7.1479
_cell_length_c 8.0194
_cell_angle_alpha 90.00
_cell_angle_beta 90.00
_cell_angle_gamma 90.00
loop_
_space_group_symop_operation_xyz
'x,y,z'
'-x,-y,z+1/2'
'-x,y,z'
'x,-y,z+1/2'
'x+1/2,y+1/2,z'
'-x+1/2,-y+1/2,z+1/2'
'-x+1/2,y+1/2,z'
'x+1/2,-y+1/2,z+1/2'
loop_
_atom_site_label
_atom_site_fract_x
_atom_site_fract_y
_atom_site_fract_z
_atom_site_occupancy
Hg1 0.2440 0.1824 0.0000 1
H1 0.0000 0.4383 0.9909 1
Br1 0.0000 0.0571 0.6934 1
O1 0.1360 0.4366 0.9892 1
```

---
********
The page goes on:
Although these employee mistakes can lead to major issues for your business, it’s not too late to protect yourself and your organization! Training your employees on security is vital and a great way to ensure they know what to lookout for to help prevent a hacker from carrying out a successful attack on your business. In addition to security awareness training, it is beneficial to share these 5 common mistakes with your employees to bring them to their attention and help them understand the risks they may be presenting.